Nivonim Interns Get Early Start on Leadership Training

### Records of molecules that have nothing to do with the text
-- begin --
# 1
The following is a quantum chemistry calculation of a molecular structure, C7H17O3Ru in a non-equilibrium geometry, from OMol25.

XYZ file:
```
28
C7H17O3Ru (ωB97M-V/def2-TZVPD)
C -1.36 0.67 -0.28
H 0.51 3.37 -0.62
H -4.21 2.91 1.26
H -0.82 2.88 -1.74
H 0.19 -3.16 0.16
H 0.80 -2.09 1.47
H -1.17 3.28 -0.02
C -0.45 2.84 -0.71
O -0.22 1.47 -0.34
H 2.15 -2.71 -1.24
H -5.08 1.88 0.07
O 2.78 -1.09 -0.12
C 2.17 -2.38 -0.19
H -1.03 -0.67 1.37
H 4.66 -1.67 0.53
O 0.18 -1.11 -0.25
H -2.03 0.81 -1.13
H -1.88 -1.38 -0.03
C 4.21 -1.11 -0.29
H 4.46 -1.57 -1.26
C -1.09 -0.68 0.27
C 0.77 -2.26 0.38
Ru 1.48 0.37 -0.50
H 2.75 -3.10 0.41
H -4.71 1.25 1.71
C -4.35 1.88 0.89
H -3.27 1.45 0.48
H 4.55 -0.07 -0.27
```

Summary:
⟨S²⟩: 12.01
Kohn-Sham gap (alpha / beta), eV: 7.3238 / 4.1365
E_HOMO (alpha / beta), eV: -20.347 / -21.107
Multiplicity: 7
Charge: +3

=====

# 2
The following is a quantum chemistry calculation of a molecular structure, C10H18FeN3, from OMol25.

XYZ file:
```
32
C10H18FeN3 (ωB97M-V/def2-TZVPD)
N 1.73 0.05 -2.30
C 1.67 0.62 1.91
H 2.05 -0.88 -2.59
C -3.80 -0.88 2.54
H 0.48 1.55 -3.04
C 1.30 1.76 1.13
H -4.15 -1.13 1.54
H -2.10 -1.29 3.85
H -0.37 -1.38 -3.05
H -2.52 -2.63 2.80
C -2.45 -1.55 2.85
C 2.18 1.86 0.06
C 3.11 0.76 0.15
C 0.67 0.49 -3.23
H -1.39 -0.06 -3.61
H 0.97 0.40 -4.27
H 3.28 -0.91 1.61
H 1.22 0.30 2.83
C -0.57 -0.31 -2.93
H -1.58 -0.76 -1.18
N -0.61 -0.79 1.16
N -0.91 -0.07 -1.51
H 2.54 0.65 -2.39
Fe 0.90 -0.15 -0.23
C -1.41 -1.13 1.91
H -3.74 0.20 2.65
H 0.52 2.47 1.38
C 2.75 -0.03 1.26
H -1.37 0.84 -1.42
H 2.21 2.66 -0.66
H 3.95 0.58 -0.50
H -4.53 -1.25 3.26
```

Summary:
⟨S²⟩: 8.77
Kohn-Sham gap (alpha / beta), eV: 9.7496 / 8.3221
E_HOMO (alpha / beta), eV: -16.078 / -17.223
Multiplicity: 6
Charge: +2

=====

# 3
The following is a quantum chemistry calculation of a molecular structure, C15H16Cl2FNReS, from OMol25.

XYZ file:
```
37
C15H16Cl2FNReS (ωB97M-V/def2-TZVPD)
H 3.68 -0.13 2.08
H -0.07 -1.50 -1.22
C 1.17 0.05 -1.98
C -0.86 1.98 0.02
H 3.58 -0.54 0.31
H 4.36 -0.99 -2.64
Cl 2.30 1.35 0.84
C 2.47 1.80 -3.04
C -2.16 1.67 2.90
H -2.57 -3.47 0.46
H -2.20 -2.25 -0.77
C 3.05 -0.23 1.20
C -2.49 -1.49 1.19
C 3.49 -0.34 -2.57
H -4.38 -2.36 1.99
H -4.47 -0.07 3.41
F 4.72 1.39 -3.57
Cl 1.76 -1.41 1.51
C -3.68 -1.54 1.98
H -2.63 1.83 3.87
C -3.73 -0.38 2.69
N -1.84 -0.32 1.40
C -2.57 0.37 2.34
C 3.56 0.95 -3.05
H 0.41 1.99 -2.49
Re -0.06 0.46 0.60
H -1.07 1.74 3.02
C 1.28 1.34 -2.51
C -2.03 -2.55 0.27
C 2.29 -0.78 -2.03
C -0.09 -0.42 -1.32
S -1.59 3.25 -0.51
H 2.56 2.79 -3.45
H 2.21 -1.81 -1.68
H -2.46 2.48 2.23
H -0.96 -2.74 0.38
H -0.98 -0.13 -1.88
```

Summary:
⟨S²⟩: 2.03
Kohn-Sham gap (alpha / beta), eV: 7.5744 / 5.6315
Relative energy (zero: lowest compared OMol25 entry of this formula, charge and spin), kJ/mol: 51.0
E_HOMO (alpha / beta), eV: -11.224 / -11.019
Multiplicity: 3
Charge: +1

=====

# 4
The following is a quantum chemistry calculation of a molecular structure, ArH26O13 in a non-equilibrium geometry, from OMol25.
-- stop --
The Nivonim experience is the culmination of one’s journey as a camper through the edot (divisions) here at Machaneh Ramah. It is also the beginning of a new journey toward coming back one day as a member of our summer tzevet (staff). Through the summer-long Hadracha (Leadership Training) Program, all Nivonimers will spend time with younger edot to learn how to work with younger children, manage group dynamics, and plan peulot (activities) for campers.
Ten Nivonimers jump-started their Hadracha with an internship that began this past November. Called Chakirah (exploration), these campers met monthly with Sarah Rosenfeld, a Nivonim 2021 counselor who served as a Ramah New England intern over the last year.
This internship was designed to encourage a “Bring Back Ramah” mindset for campers who had missed out on their 2020 camp experience and teach the interns the skills they will need to plan and run peulot in their roles as counselors-in-training and eventually as counselors.
Interns Jonah Adler and Avi Wiederhorn signed up for the program to spend time hanging out with camp friends (via Zoom, of course) and to stay in touch with camp. Intern Elie Hart viewed the internship as a good opportunity to learn to create the peulot that she looks forward to running as a tzevet member in two years.
The interns spent the initial sessions talking about what had been meaningful and impactful for each of them during their summers as campers: from Shabbat at camp to hanging out with friends; from chuggim (elective activities) to Z’man Roo, the daily hour to train with their sports teams. At later sessions, staff members Andy Weissfeld, Rosh Edah Nivonim 2021, and Simon Luxemburg, a long-time member of Camp Ramah’s program team, met with the interns to teach them how to develop and run peulot.
The interns tried out their newly developed skills on their own edah by planning and running the first peulat erev (evening activity) of the summer. Their creative take on the well-known “Guess Who?” game introduced less well-known Jewish historical figures (as well as some famous camp people!). Using facts about each person that the interns had researched, game participants had to guess each person’s identity. According to Jonah, this program gave the interns – and, ultimately, the members of the edah – the opportunity to learn more about Jewish leaders in history, while at the same time having fun! Later in the summer, the interns will plan and run a “decades party” for their edah.
# Records of molecules, kept here for reference
┌──
{"formula": "C4H5CoO2", "method": "wB97M-V/def2-TZVPD", "e_lumo_ha": [-0.17403, -0.22487], "relative_energy_kj_mol": 45.41, "multiplicity": 4, "total_charge": 1, "s_squared": 3.786, "e_tot_ha": -1688.154123, "orbital_gap_ev": [8.356, 7.060], "elements": ["H", "O", "C", "C", "C", "C", "O", "Co", "H", "H", "H", "H"], "coordinates": [[0.6894, 0.8704, -1.3721], [-2.4646, -0.1345, 0.7997], [-1.2287, 0.3174, 0.4442], [-0.5395, -0.2800, -0.5871], [0.6305, -0.6340, 0.2890], [1.7866, 0.1277, 0.1289], [1.7730, 0.9903, -0.9127], [3.6063, -0.3537, 0.0122], [-3.0604, 0.6044, 0.9525], [-0.9380, 1.2918, 0.8485], [-1.0308, -1.1058, -1.1108], [0.7762, -1.6940, 0.5076]], "lowdin_charge": [0.22, 0.10, -0.12, -0.07, -0.08, -0.33, -0.08, 0.81, 0.13, 0.16, 0.13, 0.13]}

=====

{"formula": "C4H5EuO4", "method": "wB97M-V/def2-TZVPD", "e_lumo_ha": [-0.43532, -0.33260], "relative_energy_kj_mol": 117.47, "multiplicity": 7, "total_charge": 2, "s_squared": 12.288, "e_tot_ha": -1165.941845, "orbital_gap_ev": [7.257, 10.050], "elements": ["O", "C", "O", "O", "C", "C", "O", "C", "Eu", "H", "H", "H", "H", "H"], "coordinates": [[-1.5062, -2.1215, 1.4340], [-1.7193, -1.0049, 1.8944], [-2.0828, -0.3867, 2.8296], [-0.9850, -0.0999, 0.2704], [-0.3542, 1.1226, 0.2746], [1.0766, 1.1517, -0.1356], [1.6918, 0.3820, -0.8897], [1.1430, -0.7775, -1.6513], [-0.4797, -2.1561, -0.6189], [-0.3571, 1.5572, 1.2946], [-0.8468, 1.8774, -0.3760], [1.6642, 2.0184, 0.1945], [2.0622, -1.2698, -1.9887], [0.6932, -0.2929, -2.5319]], "lowdin_charge": [-0.08, -0.39, 0.30, -0.36, -0.20, 0.03, 0.03, -0.15, 2.09, 0.17, 0.18, 0.19, 0.09, 0.10]}

=====

{"formula": "C4H5F", "method": "wB97M-V/def2-TZVPD", "e_lumo_ha": 0.04366, "relative_energy_kj_mol": 77.99, "multiplicity": 1, "e_tot_ha": -255.202299, "orbital_gap_ev": 10.124, "elements": ["C", "C", "C", "C", "F", "H", "H", "H", "H", "H"], "coordinates": [[-0.4334, -0.3173, -0.5420], [0.3666, 0.2683, 0.5477], [-1.3878, -1.2096, -0.4116], [1.2145, 1.2958, 0.4017], [1.9548, 1.6414, 1.4379], [-0.2209, -0.0673, -1.6461], [0.2567, -0.2708, 1.3957], [-1.9673, -1.5675, -1.3210], [-1.4093, -1.6762, 0.6091], [1.6262, 1.9033, -0.4715]], "nbo_charge": [-0.21, -0.33, -0.40, 0.26, -0.33, 0.20, 0.22, 0.22, 0.19, 0.19]}

=====

{"formula": "C4H5F", "method": "wB97M-V/def2-TZVPD", "e_lumo_ha": 0.04128, "relative_energy_kj_mol": 159.51, "multiplicity": 1, "e_tot_ha": -255.171248, "orbital_gap_ev": 10.493, "elements": ["C", "C", "C", "C", "F", "H", "H", "H", "H", "H"], "coordinates": [[-0.3346, -0.6370, -0.9732], [-0.1899, -1.0653, 0.2786], [-0.0347, 0.8414, -0.6536], [0.3829, 0.1336, 0.9284], [-0.1570, 0.6667, 2.0951], [-0.5328, -1.0970, -1.9087], [-0.7068, -1.8049, 0.7443], [0.8982, 1.2152, -1.0235], [-0.8613, 1.4481, -0.4197], [1.5361, 0.2992, 0.9322]], "nbo_charge": [-0.17, -0.24, -0.43, 0.20, -0.36, 0.21, 0.20, 0.20, 0.22, 0.17]}

=====
└──
# So much for the records of molecules
Next week, all Nivonimers will jump into their new roles, working directly with campers in Kochavim through Bogrim. They are excited to begin the next chapters in their Ramah journeys!